The reader should give back the whole of the calculation results further down word for word.

┌──
Density functional theory data (PBE) for TmZnGe after structural relaxation.

- ρ (Mg/m³) = 7.81
- total magnetization (μB per atom) = 0.000
- E_form (eV/atom) = -0.353

```
6
Lattice="-4.001 -0.128 -0.931 -2.257 -3.261 1.078 -4.022 2.784 7.834" Properties=species:S:1:pos:R:3 pbc="T T T"
Zn -3.086 0.892 4.070
Zn -7.195 -1.496 3.912
Ge -2.211 -0.877 0.551
Ge -8.070 0.273 7.431
Tm -4.719 -1.155 2.295
Tm -5.562 0.550 5.686
```

* * * * *

# 1
Below is a relaxed structure of PmDyBeAg, with properties calculated at the GGA-PBE level.

Unit cell a=5.0833 b=5.0833 c=5.0833 alpha=60.00 beta=60.00 gamma=60.00
With the nearest neighbours (Å) after each atom.
Element x y z (fractional)
Be 0.0000 0.0000 0.0000  4 Pm 3.11, 4 Dy 3.11
Pm 0.2500 0.2500 0.2500  4 Be 3.11, 4 Ag 3.11
Ag 0.5000 0.5000 0.5000  4 Dy 3.11, 4 Pm 3.11
Dy 0.7500 0.7500 0.7500  4 Ag 3.11, 4 Be 3.11

Properties
DFT total energy: -4.01 eV/atom
Space-group type: No. 216
Calculated formation energy: -0.028 eV per atom
V: 92.9 Å³ per cell


# 2
Below is a relaxed structure of PrDyBeAg, with properties calculated at the GGA-PBE level.

Unit cell a=5.1251 b=5.1251 c=5.1251 alpha=60.00 beta=60.00 gamma=60.00
With the nearest neighbours (Å) after each atom.
Element x y z (fractional)
Pr 0.2500 0.2500 0.2500  4 Ag 3.14, 4 Be 3.14
Be 0.5000 0.5000 0.5000  4 Pr 3.14, 4 Dy 3.14
Ag 0.0000 0.0000 0.0000  4 Dy 3.14, 4 Pr 3.14
Dy 0.7500 0.7500 0.7500  4 Be 3.14, 4 Ag 3.14

Properties
DFT total energy: -4.00 eV/atom
Space-group type: No. 216
Calculated formation energy: -0.006 eV per atom
V: 95.2 Å³ per cell


Which N(E_F) belongs to each record? In order, 2.4, 2.7 states/eV/cell.
└──

Density functional theory data (PBE) for TmZnGe after structural relaxation.

- ρ (Mg/m³) = 7.81
- total magnetization (μB per atom) = 0.000
- E_form (eV/atom) = -0.353

```
6
Lattice="-4.001 -0.128 -0.931 -2.257 -3.261 1.078 -4.022 2.784 7.834" Properties=species:S:1:pos:R:3 pbc="T T T"
Zn -3.086 0.892 4.070
Zn -7.195 -1.496 3.912
Ge -2.211 -0.877 0.551
Ge -8.070 0.273 7.431
Tm -4.719 -1.155 2.295
Tm -5.562 0.550 5.686
```

* * * * *

# 1
Below is a relaxed structure of PmDyBeAg, with properties calculated at the GGA-PBE level.

Unit cell a=5.0833 b=5.0833 c=5.0833 alpha=60.00 beta=60.00 gamma=60.00
With the nearest neighbours (Å) after each atom.
Element x y z (fractional)
Be 0.0000 0.0000 0.0000  4 Pm 3.11, 4 Dy 3.11
Pm 0.2500 0.2500 0.2500  4 Be 3.11, 4 Ag 3.11
Ag 0.5000 0.5000 0.5000  4 Dy 3.11, 4 Pm 3.11
Dy 0.7500 0.7500 0.7500  4 Ag 3.11, 4 Be 3.11

Properties
DFT total energy: -4.01 eV/atom
Space-group type: No. 216
Calculated formation energy: -0.028 eV per atom
V: 92.9 Å³ per cell


# 2
Below is a relaxed structure of PrDyBeAg, with properties calculated at the GGA-PBE level.

Unit cell a=5.1251 b=5.1251 c=5.1251 alpha=60.00 beta=60.00 gamma=60.00
With the nearest neighbours (Å) after each atom.
Element x y z (fractional)
Pr 0.2500 0.2500 0.2500  4 Ag 3.14, 4 Be 3.14
Be 0.5000 0.5000 0.5000  4 Pr 3.14, 4 Dy 3.14
Ag 0.0000 0.0000 0.0000  4 Dy 3.14, 4 Pr 3.14
Dy 0.7500 0.7500 0.7500  4 Be 3.14, 4 Ag 3.14

Properties
DFT total energy: -4.00 eV/atom
Space-group type: No. 216
Calculated formation energy: -0.006 eV per atom
V: 95.2 Å³ per cell


Which N(E_F) belongs to each record? In order, 2.4, 2.7 states/eV/cell.